My name is Mary Stone Ross. I was one of the original proponents and a co-author of the initiative that became the California Consumer Privacy Act, although I am no longer affiliated with Californians for Consumer Privacy.

I do not have the typical privacy advocate background. Previously, I served as a Central Intelligence Agency officer and later as counsel on the House Intelligence Committee. In that role, one of our responsibilities was to provide oversight over another surveillance program — the National Security Agency wiretapping program Edward Snowden so famously disclosed. Three years ago, as I started to research the amount of data private businesses collect, I found the private practices many times more intrusive, and yet — in contrast to the NSA program — there was very little oversight.

I found this terrifying. The obvious need for transparency and oversight inspired my approach to good privacy regulation.

The CCPA is a monumental step forward for consumers’ privacy; however, before the law goes into effect Jan. 1, 2020, it needs to be “cleaned up” — to use the rhetoric of the Sacramento crowd who collectively has introduced more than 40 new bills to amend the CCPA.

To help shed more light on my thinking here, these are the comments I delivered at the California Attorney General’s final public forum at Stanford, California. These are certainly not my only concerns about the CCPA, but I constrained my remarks to the areas that the attorney general statutorily can change.

[quote]I am here today to remind Attorney General Xavier Becerra and his office of our original intent inspiring the initiative: to give all Californians meaningful transparency into what personal information businesses are collecting about them and their devices and — unlike current privacy laws — make sure that the law could be enforced. 

As you are aware, the "right to privacy" is a fundamental right protected by the California constitution, and the state has a clear interest in protecting the privacy rights of its citizens. Today, businesses can state their policies in vague terms, change them more or less at will, and offer very little, if any, privacy protections to consumers. The CCPA will change this and shift the balance of power more equally toward consumers, but there are ways that your office can make the protections even stronger.

Transparency — the "right to know" in the CCPA — is the cornerstone of the entire law. A consumer can only truly consent to the collection, use and the sale of their personal information — including the terms of service and privacy policies they readily click to agree to — if they understand what information is being collected. For example, if a flashlight app is, in fact, collecting precise geographic location, that should be clearly disclosed. Thus, the burden on consumers to make a verifiable request should be as low as possible. 

I think that there should be two standards of verifiable requests: One, if a consumer is only requesting the categories of information a business is collecting; and a second, higher standard, if a consumer is requesting the specific pieces of personal information. It should be as easy as possible for a consumer to request the categories of information. It should also be legally clear that a consumer can exercise their right to know the categories of personal information without finding out the specific pieces. From a consumer privacy standpoint, it does make sense to have a much higher standard of verifiable request if a consumer is requesting the specific pieces of personal information. Further, since many businesses that do not have a direct relationship with a consumer still collect that consumer’s personal information, a consumer should be allowed to authorize a third party — including a nonprofit or another business — to opt out of the sale of their personal information on their behalf.

Definitions are critical. I agree with some of the criticisms of the CCPA that “household” is a vague and ill-defined term. However, it is necessary that a consumer be allowed to find out what personal information a business collects about their devices since, for example, my cellphone and watch travel with me everywhere and — from a data collection standpoint — are essentially me. I advise that the definition of personal information is changed to delete references to “households” and go back to the original reference of “individual consumer or device.” 

We wanted to create a living law that could be updated as technologies changed, the lack of which was a failing in past privacy regulations. There is, therefore, a thoughtful burden on the attorney general’s office to continuously add to the categories of personal information. For starters, I would advise that “psychometric information” is added back to the categories of personal information, as defined by the initiative. As evidenced by the Cambridge Analytica scandal, this is clearly a category that consumers need to know.

Enforcement is key. I agree with the concerns raised by your office that the attorney general alone is not well positioned to be the sole enforcer of such a broad act. I encourage your office to work with Sacramento to allow, like the original initiative, enforcement by any district attorney or by any county counsel, city attorney or city prosecutor whose city or county meets certain population thresholds.

As written, the nondiscrimination provision is a mess and, in effect, is a non-nondiscrimination provision. I encourage your office to work with Sacramento to come up with guidelines on when a consumer can sell their personal information, with the understanding that privacy is not a commodity that only the wealthy should be able to afford. Consumers are in a position of relative dependence with respect to the technologies and many of the apps that we use. Businesses have considerable expertise and knowledge about the value and uses of our data. Therefore, in order for the consumer to give meaningful consent, the business should have the burden to clearly define the value provided to the business by the consumer’s data.

~~~
Density functional theory data (ωB97M-V with the def2-TZVPD basis set) for C22H24N5Pd as an isolated structure.

```
52
Properties=species:S:1:pos:R:3:nbo_charge:R:1
Pd 0.189 0.827 0.328 0.04
C 4.620 0.376 -1.551 -0.27
C 3.507 0.660 -0.737 0.02
N 2.304 0.192 -0.971 -0.44
C 2.096 -0.611 -2.044 0.19
C 3.143 -0.909 -2.950 -0.09
C 4.427 -0.397 -2.657 -0.16
C 2.906 -1.685 -4.110 -0.30
C 1.629 -2.124 -4.342 -0.18
C 0.582 -1.877 -3.450 -0.34
C 0.754 -1.153 -2.260 0.20
N -0.188 -0.840 -1.362 -0.63
C -1.380 -1.469 -1.277 0.20
C -1.649 -2.804 -1.584 -0.32
C -2.918 -3.376 -1.415 -0.19
C -3.982 -2.655 -0.946 -0.28
C -3.770 -1.303 -0.581 -0.10
C -4.813 -0.499 -0.067 -0.16
C -4.563 0.790 0.301 -0.28
C -3.246 1.277 0.170 0.03
N -2.260 0.564 -0.314 -0.44
C -2.492 -0.713 -0.714 0.19
H 5.591 0.784 -1.301 0.20
H 3.617 1.306 0.129 0.20
H 5.245 -0.627 -3.332 0.20
H 3.723 -1.897 -4.789 0.19
H 1.408 -2.693 -5.240 0.19
H -0.403 -2.241 -3.705 0.21
H -0.844 -3.430 -1.944 0.21
H -3.044 -4.422 -1.674 0.19
H -4.967 -3.092 -0.835 0.19
H -5.804 -0.929 0.033 0.20
H -5.336 1.432 0.702 0.20
H -2.995 2.278 0.504 0.21
N -1.162 2.966 2.142 -0.84
C -1.315 2.091 3.297 -0.21
C -0.034 1.635 4.002 -0.42
C 0.865 0.644 3.248 -0.42
C 2.285 1.144 3.004 -0.21
N 2.398 2.266 2.072 -0.84
H -0.502 3.708 2.355 0.34
H -0.744 2.431 1.359 0.35
H -1.881 1.214 2.970 0.20
H -1.939 2.609 4.035 0.17
H -0.335 1.194 4.959 0.20
H 0.546 2.529 4.271 0.18
H 0.430 0.336 2.262 0.20
H 0.923 -0.293 3.812 0.20
H 2.889 0.324 2.606 0.19
H 2.742 1.443 3.954 0.17
H 1.904 1.979 1.210 0.35
H 1.843 3.040 2.428 0.34
```

Its max |F| is 0.291 eV/Å. Its molar mass is 464.89 Da. As for the net charge: -1. Its HOMO energy is -0.104 Eh. The HOMO-LUMO gap comes out at 0.2210 Ha.
~~~
[End of the molecular data]

Finally, I want to remind all interested parties that privacy is good for business. When we drafted the initiative, we wanted to encourage businesses to comply. It was one of the reasons why we decided not to regulate the collection of personal information, as this too is a win for consumers. 

I urge you to make your guidelines as clear as possible to ease the burden of compliance.[/quote]

........
Here is a molecular structure, C29H43Ge2N6O2RuS2 in a non-equilibrium geometry from the OMol25 dataset. Energies are from wB97M-V/def2-TZVPD.

Properties
Relative energy (zero: lowest compared OMol25 entry of this formula, charge and spin) in kJ/mol: 285.93
Spin multiplicity: 5
LUMO (spin up / spin down) in eV: -8.60 / -11.15
HOMO (spin up / spin down) in eV: -15.3 / -15.8
Charge: +3
Frontier orbital gap (spin up / spin down) in eV: 6.66 / 4.68

Positions of all 85 atoms, in Å:
Ru1 -3.8446 -4.4461 19.1915
N1 -10.2527 -9.4534 20.3144
C1 -9.2920 -8.6331 20.7743
C2 -8.2512 -9.1795 21.5564
C3 -7.1040 -8.4259 21.7612
C4 -7.0980 -7.0528 21.4749
C5 -8.2157 -6.4750 20.8736
C6 -9.2532 -7.2622 20.4090
S1 -5.6304 -6.1158 22.0363
O1 -5.0181 -6.9061 23.0572
O2 -6.1709 -4.8146 22.3951
N2 -4.5887 -5.8331 20.7753
C7 -3.7651 -6.8770 20.3271
N3 -3.7030 -8.1445 20.7067
C8 -2.9452 -8.9304 19.9018
C9 -2.1794 -8.4461 18.8103
C10 -2.3472 -7.1241 18.4093
N4 -3.0967 -6.3481 19.2238
H1 -10.4183 -10.3529 20.7247
H2 -11.0795 -9.0333 19.9347
H3 -8.3301 -10.1725 21.9753
H4 -6.1872 -8.8561 22.2304
H5 -8.3548 -5.4143 20.8819
H6 -10.0087 -6.8356 19.7900
H7 -2.9570 -9.9591 20.2681
H8 -1.4850 -9.0882 18.2448
H9 -2.0584 -6.6588 17.4624
C11 0.6853 -2.6086 19.4560
C12 -0.5623 -3.4824 19.4042
Ge1 -2.0743 -2.6891 18.3274
C13 -1.3275 -2.1081 16.5305
C14 -0.9395 -0.6242 16.4391
C15 -3.0005 -1.1007 18.9543
C16 -3.3909 -0.9707 20.2227
Ge2 -4.5860 -2.5930 20.5979
C17 -6.3027 -1.6434 20.5159
C18 -7.4328 -2.4777 21.1105
C19 -3.5029 -3.1579 22.1925
C20 -4.0926 -2.6423 23.5446
C21 -3.0235 -0.0144 21.2385
C22 -3.7800 0.3036 22.3623
C23 -3.3248 1.2979 23.2150
C24 -2.1166 1.9529 23.0234
C25 -1.3023 1.5529 21.9603
C26 -1.7645 0.6231 21.0360
H10 1.4115 -3.1655 20.0727
H11 0.6280 -1.6049 19.8994
H12 1.1769 -2.4099 18.4770
H13 -0.9465 -3.7694 20.3896
H14 -0.3002 -4.3912 18.8906
H15 -1.9431 -2.4598 15.7256
H16 -0.4442 -2.6905 16.4292
H17 -1.7758 0.0314 16.3178
H18 -0.2569 -0.4843 15.6272
H19 -0.3572 -0.3158 17.3604
H20 -3.1100 -0.2399 18.2715
H21 -6.4884 -1.3908 19.5054
H22 -6.1554 -0.6785 21.0141
H23 -7.0174 -3.4455 21.4710
H24 -8.1606 -2.7365 20.3136
H25 -7.8955 -1.9071 21.9194
H26 -2.4661 -2.8690 22.0573
H27 -3.4932 -4.2550 22.1685
H28 -5.1988 -2.3923 23.5800
H29 -3.5760 -1.6964 23.7905
H30 -3.9462 -3.3624 24.3562
H31 -4.7422 -0.1236 22.5016
H32 -3.9805 1.5352 24.0606
H33 -1.8911 2.7871 23.6847
H34 -0.3143 2.0364 21.7619
H35 -1.2069 0.3152 20.1754
C27 -8.2696 -4.5574 17.7216
N5 -6.7918 -4.4433 17.6270
C28 -6.0307 -3.3987 17.2681
S2 -4.2089 -3.6499 17.1599
N6 -6.6369 -2.2458 16.8964
C29 -6.0059 -1.0319 16.2916
H36 -8.4975 -5.3411 18.4602
H37 -8.7035 -4.8686 16.7646
H38 -8.7286 -3.6310 18.0719
H39 -6.4022 -5.3930 17.6131
H40 -7.6831 -2.2614 16.8517
H41 -5.1764 -0.7125 16.9724
H42 -6.6737 -0.2079 16.1818
H43 -5.5539 -1.3131 15.3370

These are the Löwdin partial charges, in e, on atoms 1 to 2: 0.71 0.28
........

Photo by Ev on Unsplash